
Showing posts from December, 2017

**The article is interrupted by crystal structures**
********
Record 1
# BaSm2Sc2O7

A geometry-optimized BaSm2Sc2O7 structure (PBE, the Materials Project database).

Values from the calculation:
- energy of formation (eV/f.u.) = -45.325

Lattice parameters (Å, degrees): 5.838 5.838 20.236 90.00 90.00 90.00
Element x y z (fractional)
O 0.500 0.500 0.632
Sm 0.781 0.219 0.685
O 0.181 0.181 0.712
O 0.000 0.500 0.884
O 0.000 0.500 0.384
O 0.500 0.500 0.368
O 0.181 0.181 0.288
Ba 0.762 0.238 0.500
O 0.000 0.000 0.132
Sm 0.219 0.781 0.315
Sc 0.740 0.740 0.397
O 0.213 0.787 0.000
O 0.500 0.000 0.116
O 0.500 0.500 0.095
O 0.000 0.000 0.595
Sc 0.260 0.260 0.603
O 0.681 0.319 0.212
O 0.713 0.713 0.500
O 0.681 0.319 0.788
O 0.500 0.000 0.616
O 0.000 0.500 0.616
O 0.000 0.000 0.868
Sm 0.281 0.281 0.815
O 0.819 0.819 0.288
Sc 0.260 0.260 0.397
Sc 0.740 0.740 0.603
O 0.787 0.213 0.000
Sm 0.719 0.719 0.815
O 0.319 0.681 0.788
O 0.287 0.287 0.500
Sm 0.281 0.281 0.185
O 0.000 0.000 0.405
Sc 0.760 0.240 0.103
O 0.319 0.681 0.212
Sc 0.240 0.760 0.897
Sm 0.781 0.219 0.315
O 0.500 0.000 0.384
Sc 0.240 0.760 0.103
Sm 0.719 0.719 0.185
O 0.819 0.819 0.712
O 0.000 0.500 0.116
Sc 0.760 0.240 0.897
Ba 0.238 0.762 0.500
Ba 0.738 0.738 0.000
O 0.500 0.000 0.884
Ba 0.262 0.262 0.000
O 0.500 0.500 0.905
Sm 0.219 0.781 0.685



Record 2
# Nd2Co5Cu5

A geometry-optimized Nd2Co5Cu5 structure (PBE, the Materials Project database).

Values from the calculation:
- total magnetic moment (μB/f.u.) = 5.480
- energy of formation (eV/f.u.) = -0.248

Lattice parameters (Å, degrees): 4.066 5.081 8.666 90.00 90.00 90.00
Element x y z (fractional)
Co 0.000 0.500 0.346
Cu 0.500 0.000 0.000
Nd 0.000 0.500 0.000
Co 0.000 0.000 0.164
Cu 0.500 0.750 0.251
Cu 0.500 0.250 0.749
Co 0.000 0.500 0.654
Co 0.500 0.500 0.500
Co 0.000 0.000 0.836
Nd 0.000 0.000 0.500
Cu 0.500 0.750 0.749
Cu 0.500 0.250 0.251

~~~~~

(1)
# Ag8GeSe6

A relaxed Ag8GeSe6 crystal (PBE, the Materials Project database).

```
Ag8GeSe6
1.0
-3.2650 2.9995 -6.4768
0.9252 -7.0637 -3.7377
-9.9493 -3.1782 3.5436
Ag Se Ge
16 12 2
Direct
0.5358 0.3019 0.7683 Ag
0.7246 0.5000 0.9811 Ag
0.5358 0.6981 0.7683 Ag
0.8449 0.7999 0.1571 Ag
0.4642 0.1981 0.2683 Ag
0.1021 0.2916 0.3636 Ag
0.1551 0.7001 0.6571 Ag
0.1021 0.7084 0.3636 Ag
0.8979 0.2084 0.8636 Ag
0.8979 0.7916 0.8636 Ag
0.3822 0.0000 0.0427 Ag
0.6178 0.5000 0.5427 Ag
0.8449 0.2001 0.1571 Ag
0.2754 0.0000 0.4811 Ag
0.1551 0.2999 0.6571 Ag
0.4642 0.8019 0.2683 Ag
0.7500 0.2486 0.3990 Se
0.5094 0.0000 0.6503 Se
0.8104 0.5000 0.7467 Se
0.2839 0.5000 0.4974 Se
0.2500 0.2514 0.8990 Se
0.2500 0.7486 0.8990 Se
0.7500 0.7514 0.3990 Se
0.0045 0.5000 0.1506 Se
0.1896 0.0000 0.2467 Se
0.4906 0.5000 0.1503 Se
0.9955 0.0000 0.6506 Se
0.7161 0.0000 0.9974 Se
0.2496 0.5000 0.0190 Ge
0.7504 0.0000 0.5190 Ge
```

Output
- symmetry = Pmn2_1, No. 31
- E_tot (eV per atom) = -3.367
- DFT formation energy (eV/atom) = -0.3380


(2)
# SmAg2Ge2

A relaxed SmAg2Ge2 crystal (PBE, the Materials Project database).

```
SmAg2Ge2
1.0
-2.1462 2.1462 5.5678
********
**The article goes on**

Most Important Yoga Tips for winters

Practicing yoga in winters is as much important as the summer season. But, as the season is meant more for luxury and comfort then people do consider keeping a hand distance from the same. This is actually not justified when your ultimate desire is to keep healthy and fit. For those, who are in the habit of practicing yoga regularly, in this very informative article we are going to tell few very important tips that one should follow during the winter tips. Here are the winter yoga tips for yoga teacher training in india , that would make the practice easy and would also boost up the body and immune system. Keep Warm: Few rounds of Surya Namaskar followed with the yoga poses that would keep the body warm would be the best practice in the winter season. Along with this, also try to keep your body warm and cozy so that you may be comfortable starting the practice and would not leave it with any excuse. Keep Bug at Bay: Winter comes with many infections an

**Here the text breaks off for calculated crystals**
+++
# 1
An optimized crystal structure of Ta2O5. Source: the Materials Project database, functional PBE.

Geometry as CIF:
```
data_Ta2O5
_chemical_formula_sum 'Ta22 O55'
_cell_length_a 6.338
_cell_length_b 3.844
_cell_length_c 40.952
_cell_angle_alpha 90.00
_cell_angle_beta 90.85
_cell_angle_gamma 90.00
_symmetry_space_group_name_H-M 'P 1 m 1'
_symmetry_Int_Tables_number 6
_symmetry_space_group_name_Hall 'P -2y'
loop_
_atom_site_label
_atom_site_fract_x
_atom_site_fract_y
_atom_site_fract_z
Ta1 0.000 0.000 0.000
Ta2 0.002 0.000 0.183
Ta3 0.021 0.000 0.731
Ta4 0.064 0.000 0.913
Ta5 0.420 0.000 0.411
Ta6 0.446 0.000 0.135
Ta7 0.451 0.000 0.320
Ta8 0.454 0.000 0.593
Ta9 0.459 0.000 0.685
Ta10 0.493 0.000 0.866
Ta11 0.525 0.000 0.958
Ta12 0.532 0.000 0.049
Ta13 0.537 0.000 0.495
Ta14 0.556 0.000 0.220
Ta15 0.583 0.000 0.769
Ta16 0.898 0.000 0.553
Ta17 0.904 0.000 0.278
Ta18 0.933 0.000 0.829
Ta19 0.953 0.000 0.366
Ta20 0.980 0.000 0.457
Ta21 0.986 0.000 0.639
Ta22 0.990 0.000 0.092
O1 0.000 0.500 0.732
O2 0.010 0.500 0.632
O3 0.067 0.000 0.412
O4 0.076 0.500 0.906
O5 0.107 0.000 0.138
O6 0.107 0.000 0.685
O7 0.177 0.000 0.575
O8 0.188 0.000 0.857
O9 0.189 0.000 0.959
O10 0.190 0.000 0.297
O11 0.271 0.000 0.023
O12 0.285 0.000 0.465
O13 0.294 0.000 0.363
O14 0.301 0.000 0.193
O15 0.314 0.000 0.087
O16 0.320 0.000 0.741
O17 0.331 0.000 0.638
O18 0.393 0.500 0.416
O19 0.409 0.000 0.911
O20 0.426 0.500 0.141
O21 0.433 0.500 0.691
O22 0.481 0.500 0.325
O23 0.481 0.500 0.597
O24 0.491 0.500 0.500
O25 0.497 0.500 0.961
O26 0.503 0.500 0.862
O27 0.517 0.500 0.225
O28 0.537 0.500 0.774
O29 0.563 0.500 0.054
O30 0.570 0.000 0.546
O31 0.577 0.000 0.271
O32 0.616 0.000 0.819
O33 0.657 0.000 0.002
O34 0.658 0.000 0.449
O35 0.678 0.000 0.173
O36 0.679 0.000 0.386
O37 0.685 0.000 0.105
O38 0.695 0.000 0.724
O39 0.721 0.000 0.661
O40 0.786 0.000 0.322
O41 0.788 0.000 0.598
O42 0.811 0.000 0.941
O43 0.814 0.000 0.875
O44 0.853 0.000 0.503
O45 0.871 0.000 0.229
O46 0.889 0.000 0.047
O47 0.903 0.000 0.778
O48 0.934 0.500 0.547
O49 0.937 0.500 0.274
O50 0.973 0.500 0.461
O51 0.973 0.500 0.994
O52 0.977 0.500 0.823
O53 0.979 0.500 0.359
O54 0.990 0.500 0.186
O55 0.995 0.500 0.094
```

## Properties
ΔH_f (0 K) in kJ/mol of atoms: -318
Crystal system: monoclinic

=====

# 2
An optimized crystal structure of Ta2O5. Source: the Materials Project database, functional PBE.

Geometry as CIF:
```
data_Ta2O5
_chemical_formula_sum 'Ta4 O10'
_cell_length_a 6.139
_cell_length_b 5.209
_cell_length_c 5.827
_cell_angle_alpha 90.00
_cell_angle_beta 118.77
_cell_angle_gamma 90.00
_symmetry_space_group_name_H-M 'C 1 2 1'
_symmetry_Int_Tables_number 5
_symmetry_space_group_name_Hall 'C 2y'
loop_
_atom_site_label
_atom_site_fract_x
_atom_site_fract_y
_atom_site_fract_z
Ta1 0.191 0.000 0.295
O1 0.000 0.758 0.500
O2 0.077 0.327 0.355
O3 0.173 0.974 0.961
```

## Properties
ΔH_f (0 K) in kJ/mol of atoms: -283
Crystal system: monoclinic

=====

# 3
+++

What is the Importance of Yoga Asanas in Our Daily Life?

Whether it is weight loss or whether to attain a peace of mind, yoga always plays an essential role in that. But, there are only few people who could understand the significance of yoga. Yoga is not only meant for a healthy body but it is also directly related to a peaceful mind. Anandayog ashram trust provides the key points about learning yoga. Practicing yoga is necessary and something that helps a person to remain healthy forever. If you are also unaware about the importance of yoga and still keep a distance from the same then here are few of the very important points that would help you in understanding the importance and benefits of yoga. All around Fitness: Doing yoga would help you to attain the all around fitness. Whether it is keeping the mind peaceful or to detoxify the body, in all the cases yoga always provides the better result in the same. Improve Health: Yoga improves health and there is no doubt or no second thought for the same.

4 Most Important Tips for Choosing a Good Yoga Teacher

It is actually a wise decision of yours to start or revive a yoga practice. Yoga is a practice of body that revives the soul. A good yoga practice is something that aids a person to remain healthy and peaceful always. Yoga, when practiced earnestly, regularly, and for a while, gives a sense of clarity and connection that tends to organically draw us toward healthier choices. And, to attain a high level of succession in the same it is required that one should have the assistance of the right teacher. However there are many ways to practice yoga, you can also learn it from Videos and books but the best instruction would come out from a true yoga guru swamiganeshanand . As there are many qualified yoga teachers in and around that it could sometimes become an issue to approach the right one. Ananda yoga ashram trust provides free yoga training . Well, it will not be a daunting task anymore because here we are with the four most important points and tips that w

**Someone pasted calculated crystals at this point**
'''
Compound: Li3Fe8B8O24
Source: the Materials Project database
Functional: PBE with a Hubbard U
Structure: relaxed

Results
- spin magnetization (μB/f.u.) = 37.00
- uncorrected energy (eV per cell) = -307.658
- formation energy (eV/f.u.) = -96.52

Geometry as POSCAR:
```
Li3Fe8B8O24
1.0
5.2456 0.0000 0.0000
0.2006 9.1512 0.0000
0.1190 0.2410 10.0203
Li Fe B O
3 8 8 24
direct
0.0000 0.0000 0.0000 Li
0.0037 0.9970 0.4966 Li
0.5009 0.5010 0.9918 Li
0.0248 0.3332 0.9626 Fe
0.3378 0.6742 0.7140 Fe
0.3508 0.0102 0.2163 Fe
0.4900 0.1930 0.4620 Fe
0.5195 0.8320 0.9600 Fe
0.8366 0.5062 0.2176 Fe
0.8384 0.1769 0.7155 Fe
0.9990 0.6614 0.4632 Fe
0.0116 0.6725 0.9654 B
0.3337 0.6726 0.2134 B
0.3424 0.0042 0.7093 B
0.4994 0.8416 0.4635 B
0.5157 0.1710 0.9641 B
0.8386 0.1740 0.2117 B
0.8404 0.5026 0.7135 B
0.9993 0.3444 0.4624 B
0.0819 0.0209 0.6979 O
0.0837 0.6595 0.2648 O
0.2513 0.3545 0.4569 O
0.2653 0.6562 0.9190 O
0.3472 0.7263 0.5104 O
0.3683 0.9694 0.4210 O
0.3875 0.0438 0.0074 O
0.3983 0.3041 0.9641 O
0.4193 0.8086 0.1732 O
0.4461 0.8702 0.7516 O
0.4843 0.5508 0.1958 O
0.5007 0.1178 0.6729 O
0.5865 0.1622 0.2508 O
0.5873 0.5275 0.7278 O
0.7615 0.8286 0.4621 O
0.7741 0.1547 0.9222 O
0.8460 0.4699 0.4215 O
0.8713 0.2175 0.5069 O
0.8894 0.5454 0.0123 O
0.8933 0.8057 0.9651 O
0.9306 0.3097 0.1732 O
0.9521 0.3705 0.7536 O
0.9945 0.0514 0.2049 O
0.9987 0.6121 0.6599 O
```

Compound: Li32Ti5Cr11O48
Source: the Materials Project database
Functional: PBE with a Hubbard U
Structure: relaxed

Results
- spin magnetization (μB/f.u.) = 22.07
- uncorrected energy (eV per cell) = -624.867
- formation energy (eV/f.u.) = -235.58

Geometry as POSCAR:
```
Li32Ti5Cr11O48
1.0
2.5348 -4.3574 0.0000
2.5348 4.3574 0.0000
-1.3133 0.0000 38.5550
Li Ti Cr O
32 5 11 48
direct
0.0003 0.9997 0.0000 Li
0.0279 0.3488 0.0626 Li
0.0617 0.0645 0.1875 Li
0.0923 0.7741 0.3123 Li
0.1215 0.1232 0.3751 Li
0.1439 0.4666 0.4376 Li
0.1853 0.1819 0.5623 Li
0.2259 0.9077 0.6877 Li
0.2500 0.2500 0.7500 Li
0.2761 0.5944 0.8125 Li
0.3102 0.3174 0.9375 Li
0.3507 0.0256 0.0624 Li
0.3789 0.3767 0.1250 Li
0.4056 0.7239 0.1875 Li
0.4380 0.4351 0.3125 Li
0.4766 0.1548 0.4379 Li
0.5001 0.4999 0.5000 Li
0.5334 0.8561 0.5624 Li
0.5649 0.5620 0.6875 Li
0.6010 0.2811 0.8124 Li
0.6232 0.6211 0.8750 Li
0.6512 0.9721 0.9374 Li
0.6826 0.6898 0.0625 Li
0.7189 0.3990 0.1876 Li
0.7500 0.7500 0.2500 Li
0.7830 0.1033 0.3126 Li
0.8181 0.8147 0.4377 Li
0.8452 0.5234 0.5621 Li
0.8768 0.8785 0.6249 Li
0.8967 0.2170 0.6874 Li
0.9355 0.9383 0.8125 Li
0.9744 0.6493 0.9376 Li
0.0370 0.7050 0.1248 Ti
0.2049 0.5374 0.6247 Ti
0.2950 0.9630 0.8752 Ti
0.4626 0.7951 0.3753 Ti
0.6664 0.3336 0.0000 Ti
0.0794 0.4212 0.2499 Cr
0.1716 0.8284 0.5000 Cr
0.3313 0.6687 0.0000 Cr
0.4210 0.0788 0.2501 Cr
0.5438 0.2101 0.6251 Cr
0.5788 0.9206 0.7501 Cr
0.7099 0.0441 0.1253 Cr
0.7899 0.4562 0.3749 Cr
0.8296 0.1704 0.5000 Cr
0.9212 0.5790 0.7499 Cr
0.9559 0.2901 0.8747 Cr
0.0022 0.0125 0.0963 O
0.0118 0.6525 0.0283 O
0.0202 0.3713 0.1532 O
'''

3 Best Yoga Asanas for Winter Season

 As the daylight is shrinking and days are becoming shorter and shorter the search for ore ease and comfort in life is going on. Winters are here and along with this, there comes the lazy us. Winters are all meant for ease and comfort and exercise and yoga is such things that people do think for skipping. Well, this not a good idea and to match up with the perfect expectation of healthy body and peaceful mind yoga should be practiced on regular basis even in the winters as well. Yoga training in India provides these types of facility of free cost. Ananda yoga ashram trust is a type of trust in delhi . Well, there is no such difference between the yoga Asanas for summers and winters but in this article we are going to tell about the three best yoga poses for the winter season that would help in making the body warm and of course fit for the chilly days. Crescent Lunge (High Lunge):  There are many different ways to enter this pose but you are basical